
俄國入侵後約一週,烏克蘭政府向 ICANN 正式提出要求對俄羅斯實施制裁,停止俄國頂級域名 .ru、.рф及.su解析,並要求關閉位於俄國的DNS根伺服器,信中還提到將要求歐洲IP位址管理機構 RIPE NCC 取消其核發給俄國所有IPv4與IPv6位址的使用權。

對此,RIPE NCC已回應將持續以中立的立場提供具權威性資料服務避免受到偏見或政治影響;ICANN執行長也正式回覆不會為烏克蘭刪除俄羅斯頂級國碼網域名稱請求,但會保障烏克蘭公民不會因域名到期而無法繼續使用。


有人質疑,ICANN是受美國加州法律規範的私人公司,RIPE NCC 是在荷蘭阿姆斯特丹立案的組織,若未來歐美國家決定對俄羅斯做出制裁時,這些國際組織是否應依當地法律採取對應的制裁行動。若再進一步探討封鎖俄國網路資源取得或使用權的制裁手段,是否真的能夠達到初始烏克蘭政府所提出的遏止不實訊息散佈或減少網路攻擊目的?此類禁令是否應當納入制裁選項?倘若實施又可能對全球網際網路造成什麼影響?未來網路空間規範 (norm)有沒有可能因此改變?



時間:2022年4月22日 , 14:00-16:00


14:00–14:05     活動介紹

14:05–15:45     焦點座談

主持人:吳國維 理事長(台灣網路治理論壇)


  • 吳宗翰 博士(國防安全研究院)
  • 沈信雄 簡任技正(國家通訊傳播委員會)
  • 曾更瑩 合夥人 ( 理律法律事務所)
  • 黃勝雄 董事暨執行長(台灣網路資訊中心)

15:45–16:00        現場問答


Internet Governance After Ukraine-Russia Conflict

One week after Russian invasion of Ukraine, Ukraine government representative sent a letter to ICANN president and CEO asking to address an urgent need to introduce strict sanctions against the Russian Federation in the field of DNS regulation. The requests include revoking the domains of “.ru”, “.рф” and “.su”, revoking for SSL certificates for the abovementioned domains as well as shutting down DNS root servers situated in the Russian.  The representative also requested RIPE NCC to withdraw the right to use all IPv4 and IPv6 addresses by all Russian members, and to block the DNS root servers that it is operating.

RIPE NCC and ICANN have both rejected Ukraine’s requests.  The Executive Board of the RIPE NCC believes that the means to communicate should not be affected by domestic political disputes, international conflicts or war.  ICANN CEO further indicated the organizations’ support to Ukrainian. These developments have prompted urgent discussions on the existing critical Internet resources global governance principles and appropriate internet sanction possibilities.

The text is interrupted by records of crystals
~~~
No. 1
The following is a theoretical XRD peak list of V3SbP6O24. It was derived from a structure optimized by DFT (GGA+U), using a wavelength of 1.5418 Å.
Peak positions follow from Bragg's law for the DFT cell and can differ from measured ones.

Principal peaks in the range 2θ = 10–80°, in order of rising 2θ:
- 14.4°, intensity 55.5, (0 1 2)
- 20.2°, intensity 80.2, (1 0 4)
- 20.7°, intensity 44.5, (1 1 0)
- 24.1°, intensity 100.0, (1 1 3)
- 29.1°, intensity 59.0, (0 2 4)
- 32.2°, intensity 17.2, (2 1 1)
- 32.3°, intensity 38.7, (2 -1 6)
- 36.0°, intensity 16.5, (3 -1 4)
- 36.3°, intensity 18.4, (3 0 0)
- 53.3°, intensity 23.0, (3 -1 10)

Atomic structure:
```
data_V3SbP6O24
_chemical_formula_sum 'V9 Sb3 P18 O72'
_space_group_name_H-M_alt 'R 3'
_space_group_IT_number 146
_space_group_name_Hall 'R 3'
_cell_length_a 8.5760
_cell_length_b 8.5760
_cell_length_c 21.7458
_cell_angle_alpha 90.00
_cell_angle_beta 90.00
_cell_angle_gamma 120.00
loop_
_atom_site_label
_atom_site_fract_x
_atom_site_fract_y
_atom_site_fract_z
_atom_site_occupancy
V1 0.0000 0.0000 0.0000 1
V2 0.0000 0.0000 0.2166 1
V3 0.0000 0.0000 0.4988 1
Sb1 0.0000 0.0000 0.7155 1
P1 0.0022 0.2874 0.6063 1
P2 0.0026 0.7186 0.1082 1
O1 0.0240 0.1911 0.2655 1
O2 0.0254 0.8277 0.0499 1
O3 0.0307 0.1978 0.5508 1
O4 0.0318 0.8367 0.7716 1
O5 0.1615 0.4548 0.3330 1
O6 0.1656 0.6915 0.8327 1
O7 0.1681 0.4729 0.6147 1
O8 0.1680 0.6974 0.1148 1
```



No. 2
The following is a theoretical XRD peak list of TiMnH12O6F6. It was derived from a structure optimized by DFT (GGA+U), using a wavelength of 1.5418 Å.
Peak positions follow from Bragg's law for the DFT cell and can differ from measured ones.

Principal peaks in the range 2θ = 10–80°, in order of rising 2θ:
- 17.9°, intensity 100.0, (1 1 0)
- 20.8°, intensity 51.0, (0 1 2)
- 33.1°, intensity 64.4, (3 -2 2)
- 38.9°, intensity 6.2, (1 3 1)
- 42.1°, intensity 7.5, (4 -1 2)
- 46.1°, intensity 11.8, (0 4 2)
- 46.4°, intensity 20.6, (3 -1 4)
- 48.5°, intensity 7.3, (1 4 0)
- 49.8°, intensity 12.3, (5 -3 2)
- 53.6°, intensity 12.7, (4 -3 4)

Atomic structure:
```
data_TiMnH12O6F6
_chemical_formula_sum 'Ti3 Mn3 H36 O18 F18'
_space_group_name_H-M_alt 'R -3'
_space_group_IT_number 148
_space_group_name_Hall '-R 3'
_cell_length_a 9.9317
_cell_length_b 9.9317
_cell_length_c 9.8128
_cell_angle_alpha 90.00
_cell_angle_beta 90.00
_cell_angle_gamma 120.00
loop_
_atom_site_label
_atom_site_fract_x
_atom_site_fract_y
_atom_site_fract_z
_atom_site_occupancy
Ti1 0.0000 0.0000 0.0000 1
Mn1 0.0000 0.0000 0.5000 1
H1 0.0240 0.5252 0.2616 1
H2 0.0864 0.8859 0.7235 1
O1 0.0848 0.2089 0.6296 1
F1 0.0132 0.1611 0.1129 1
```



No. 3
The following is a theoretical XRD peak list of Mn3Co4P6H4O24. It was derived from a structure optimized by DFT (GGA+U), using a wavelength of 1.5418 Å.
Peak positions follow from Bragg's law for the DFT cell and can differ from measured ones.

Principal peaks in the range 2θ = 10–80°, in order of rising 2θ:
- 11.9°, intensity 13.9, (0 1 0)
~~~

Some may doubts if ICANN or RIPE NCC, which are legally binding by California (US) and Amsterdam (Netherland) laws, will have to follow their respective authorities’ command to implement sanctions. Some are arguing that, blocking Russia from accessing Internet may not be helpful for achieving Ukraine’s goal to mitigate the harms of false information spreading and cyber-attacks. What will be the consequences if Internet governance institutions heeded the sanction request?

The panel invite experts with rich internet policy making experiences to talk about how the Internet governance institutions respond to the Ukraine-Russia conflict, explore the possible changes of global Internet governance principles, and identify key factors Internet community in Taiwan may pay attention in the future.

Time: 2022/4/22 02:00-04:00PM

Venue: IEAT International Conference Center Meeting 8F Room 2 (No. 350, Songjiang Road, Zhongshan District, Taipei City)

-- Here the entry breaks off for records of crystals --
<<<
This entry pairs a crystal structure of Cd2Ag5Pd with its simulated PXRD pattern. Radiation: Cu Kα. Structure: a crystal structure in Alexandria, relaxed with GGA-PBE.
Peak positions follow from Bragg's law for the DFT cell and can differ from measured ones.

Crystal structure
Cell: 5.989 11.969 4.049 Å, 90.00 90.00 90.00°
Space group Pbam (No. 55)
Unique sites:
Cd1 0.233 0.120 0.000 (multiplicity 4)
Ag1 0.000 0.500 0.500 (multiplicity 2)
Ag2 0.013 0.749 0.500 (multiplicity 4)
Ag3 0.242 0.374 0.000 (multiplicity 4)
Pd1 0.000 0.000 0.500 (multiplicity 2)

Largest 10 diffraction maxima, sorted by position, 2θ = 15–90°:
h k l, two_theta, intensity
0 4 1, 37.4, 1000
2 1 1, 38.1, 9
2 4 0, 42.7, 335
0 0 2, 44.8, 149
0 8 0, 62.0, 103
2 4 2, 63.6, 194
4 3 1, 71.2, 5
2 8 1, 74.7, 231
0 4 3, 77.6, 109
0 8 2, 79.7, 98

----------

[1]
Simulated X-ray diffraction stick pattern
Compound: NiB3W3
Radiation: λ = 1.5418 Å (Cu Kα)
Structure: DFT lattice parameters and positions (PBE)
Lines closer than 0.1° are merged.

Largest 12 diffraction maxima, sorted by position, 2θ = 10–90°:
26.8°, intensity 29
31.0°, intensity 62
39.1°, intensity 72
39.6°, intensity 100
42.8°, intensity 99
43.7°, intensity 26
45.2°, intensity 55
50.1°, intensity 40
57.5°, intensity 24
68.5°, intensity 27
72.1°, intensity 42
72.3°, intensity 36

Structural model:
abc: 4.5151 4.5151 10.7907
angles: 90.00 90.00 138.42
Element x y z (fractional)
Ni1 0.0000 0.0000 0.0000
Ni2 0.0000 0.0000 0.5000
B1 0.2907 0.7093 0.7500
B2 0.4114 0.5886 0.6043
B3 0.4114 0.5886 0.8957
B4 0.5886 0.4114 0.1043
B5 0.5886 0.4114 0.3957
B6 0.7093 0.2907 0.2500
W1 0.0026 0.9974 0.2500
W2 0.2882 0.7118 0.1085
W3 0.2882 0.7118 0.3915
W4 0.7118 0.2882 0.6085
W5 0.7118 0.2882 0.8915
W6 0.9974 0.0026 0.7500

***

[2]
Simulated X-ray diffraction stick pattern
Compound: H2Pb4SO8
Radiation: λ = 1.5418 Å (Cu Kα)
Structure: DFT lattice parameters and positions (PBE)
Lines closer than 0.1° are merged.

Largest 12 diffraction maxima, sorted by position, 2θ = 10–90°:
15.0°, intensity 43
17.9°, intensity 23
20.4°, intensity 27
24.2°, intensity 24
26.7°, intensity 100
27.8°, intensity 32
28.1°, intensity 72
28.4°, intensity 84
30.3°, intensity 81
31.2°, intensity 37
32.2°, intensity 59
35.1°, intensity 39

Structural model:
abc: 6.4802 7.5973 10.5440
angles: 75.58 79.02 88.15
Element x y z (fractional)
H1 0.0380 0.1656 0.2003
H2 0.3488 0.2567 0.1774
H3 0.6512 0.7433 0.8226
H4 0.9620 0.8344 0.7997
Pb1 0.2589 0.8820 0.4947
Pb2 0.2727 0.3821 0.4746
Pb3 0.2831 0.5191 0.8204
Pb4 0.3207 0.9955 0.8195
Pb5 0.6793 0.0045 0.1805
Pb6 0.7169 0.4809 0.1796
Pb7 0.7273 0.6179 0.5254
Pb8 0.7411 0.1180 0.5053
S1 0.2020 0.7625 0.1743
S2 0.7980 0.2375 0.8257
O1 0.0124 0.2947 0.7431
O2 0.0995 0.7949 0.7595
O3 0.2160 0.9655 0.1282
O4 0.2434 0.6788 0.0593
O5 0.3624 0.5871 0.5933
O6 0.3646 0.6990 0.2616
O7 0.3846 0.1020 0.5876
O8 0.4523 0.2404 0.2359
O9 0.5477 0.7596 0.7641
O10 0.6154 0.8980 0.4124
O11 0.6354 0.3010 0.7384
O12 0.6376 0.4129 0.4067
>>>

Moderator: Kuo Wei Wu, Chair of TWIG

Tsung Han Wu, Assistant Research Fellow, Institute for National Defense and Security Research Xin-Xiong,Shen, Senior Technical Specialist, National Communications Commission Ken-Ying Tseng, Partner, LEE AND LI, ATTORNEYS-AT-LAW Kenny Huang, CEO of TWNIC